**File:**
/*
*P*
22
Properties=species:S:1:pos:R:3 method="wB97M-V/def2-TZVPD" e_homo_ev=-2.4 charge=-1
O -1.331 -2.049 -1.051
N 0.059 -0.281 0.720
C 0.873 -0.021 -0.490
C 1.618 1.242 -0.459
C -2.172 -0.575 1.650
C 3.157 0.927 -0.405
C -2.112 -1.029 -0.862
C -1.400 -0.084 0.363
H -2.959 0.244 1.908
H 1.328 -0.947 -0.756
H 3.590 0.171 0.349
H -1.394 -0.649 2.518
H 3.567 0.810 -1.422
H -3.175 -1.269 -0.497
H 0.216 -1.328 0.900
H 1.216 2.090 -1.071
H -2.822 -1.369 1.315
H -1.488 0.943 0.129
H 0.336 -0.098 -1.490
H 3.694 1.830 -0.106
H 1.393 1.646 0.489
H -2.194 -0.204 -1.733

*Q*
22
Properties=species:S:1:pos:R:3 method="wB97M-V/def2-TZVPD" e_homo_ev=-2.7 charge=-1
O 0.595 1.532 -2.583
N -0.391 0.977 -0.373
C -0.485 1.227 -1.963
C 0.291 -0.248 -0.052
C 0.327 -0.723 2.505
C 1.818 -0.337 -0.094
C -0.287 -1.082 1.117
C -1.820 -1.117 1.152
H -0.968 0.248 -2.253
H 2.148 -0.027 -1.087
H -0.065 -2.130 0.911
H 2.177 -1.328 0.151
H -0.363 -1.090 3.270
H 0.029 -0.930 -0.895
H -2.246 -1.303 2.139
H -1.319 1.989 -1.904
H 0.448 0.337 2.740
H -2.161 -1.852 0.432
H -2.241 -0.170 0.783
H 2.261 0.379 0.629
H 1.341 -1.106 2.532
H 0.001 1.707 0.208

*R*
22
Properties=species:S:1:pos:R:3 method="wB97M-V/def2-TZVPD" e_homo_ev=-2.4 charge=-1
O 0.647 -0.840 2.860
N 0.216 0.847 -2.081
C 1.728 0.994 0.820
C -0.380 -1.642 2.490
C -2.164 1.124 -1.558
C -0.993 0.408 -2.184
C 1.751 -0.016 -0.320
C 0.346 -0.231 -0.925
H -1.746 1.716 -0.741
H -2.697 1.772 -2.243
H -1.205 -0.455 -2.856
H 0.285 -1.240 -1.312
H -0.116 -2.562 1.877
H -0.974 -2.045 3.336
H -1.127 -1.136 1.813
H 2.734 1.285 1.127
H 2.432 0.327 -1.106
H 1.171 1.895 0.534
H 1.161 0.502 1.666
H -0.324 -0.128 -0.065
H 2.127 -0.995 -0.017
H -2.873 0.419 -1.116

*S*
22
Properties=species:S:1:pos:R:3 method="wB97M-V/def2-TZVPD" e_homo_ev=-2.3 charge=-1
O -1.755 1.766 0.958
N 0.619 -1.680 -1.054
C 0.897 1.111 -0.144
C -0.708 1.710 1.759
C -0.019 -2.606 -0.247
C -0.019 0.840 -1.343
C 0.324 0.644 1.187
C -0.422 -0.674 -1.437
H 0.589 1.097 -2.244
H 1.005 2.188 -0.126
H -1.325 -0.737 -0.697
H 1.442 -1.216 -0.798
H -0.898 -0.741 -2.476
H 0.030 2.662 1.899
H 0.645 -3.459 0.181
H 2.005 0.875 -0.052
H 1.032 0.580 1.972
H -1.102 1.635 2.714
H -0.960 -2.881 -0.627
H -0.165 -0.308 1.051
H -1.014 1.372 -1.245
H -0.199 -2.177 0.770

Least stable of them? *R*.

*P*
22
Properties=species:S:1:pos:R:3 method="wB97M-V/def2-TZVPD" e_homo_ev=-2.0 charge=-1
O 0.188 0.058 -2.744
N -1.212 0.628 0.480
C -1.919 1.801 -0.216
C 0.309 0.711 -1.673
C 1.677 -0.163 1.100
C -0.413 -0.215 -0.513
C 0.704 -0.960 0.167
C 0.240 -2.193 0.985
H 1.233 -1.295 -0.731
H -2.882 1.846 0.051
H -1.496 2.814 -0.070
H 1.404 1.024 -1.317
H -1.152 -0.694 -1.101
H -0.565 1.112 1.065
H 1.099 0.106 1.946
H 1.791 0.807 0.641
H 2.644 -0.761 1.252
H -0.037 -3.165 0.385
H -0.625 -1.987 1.695
H 1.045 -2.582 1.578
H -0.299 1.527 -1.638
H -1.733 1.579 -1.342

*Q*
22
Properties=species:S:1:pos:R:3 method="wB97M-V/def2-TZVPD" e_homo_ev=-2.6 charge=-1
O -1.092 0.568 -0.782
N 3.383 0.565 0.347
C 1.413 1.862 0.110
C -1.803 0.572 0.442
C 2.104 0.762 -0.182
C 1.641 -0.386 -1.045
C -2.040 -0.845 0.926
C -2.560 -1.726 -0.169
H 1.940 2.636 0.724
H 2.271 -0.440 -1.947
H -1.861 -1.539 -0.983
H -2.643 -2.834 0.059
H 3.783 1.479 0.676
H -2.784 1.087 0.297
H -2.658 -0.909 1.811
H 0.580 -0.191 -1.249
H -1.223 1.101 1.221
H 1.819 -1.286 -0.410
H -3.522 -1.353 -0.491
H 3.986 0.162 -0.394
H 0.318 1.951 -0.142
H -1.053 -1.236 1.182

Least stable of them? *P*.

*P*
37
Properties=species:S:1:pos:R:3 method="wB97M-V/def2-TZVPD" e_homo_ev=-9.5 charge=0
O 3.766 0.657 0.629
O -1.701 -2.248 -2.189
O 1.691 1.516 2.664
O -0.751 4.366 -1.099
N -1.272 -0.940 0.459
C 0.621 -2.517 0.544
C -1.070 0.509 0.356
C 0.208 0.895 -0.396
C -0.334 -1.648 1.358
C -1.103 -2.502 2.353
C 0.226 0.461 -1.862
C -0.936 0.991 -2.692
H -1.085 2.059 -2.522
H 1.205 -3.173 1.193
H 2.503 1.353 2.166
H -2.211 -1.118 0.794
H -2.099 -3.054 -1.842
H -1.046 0.991 1.344
H 1.303 -1.922 -0.066
H -0.402 -2.996 3.029
H -1.820 -1.930 2.941
*/

**Wanted:**
Repeat the material earlier on without additions.

**Worked solution:**
*P*
22
Properties=species:S:1:pos:R:3 method="wB97M-V/def2-TZVPD" e_homo_ev=-2.4 charge=-1
O -1.331 -2.049 -1.051
N 0.059 -0.281 0.720
C 0.873 -0.021 -0.490
C 1.618 1.242 -0.459
C -2.172 -0.575 1.650
C 3.157 0.927 -0.405
C -2.112 -1.029 -0.862
C -1.400 -0.084 0.363
H -2.959 0.244 1.908
H 1.328 -0.947 -0.756
H 3.590 0.171 0.349
H -1.394 -0.649 2.518
H 3.567 0.810 -1.422
H -3.175 -1.269 -0.497
H 0.216 -1.328 0.900
H 1.216 2.090 -1.071
H -2.822 -1.369 1.315
H -1.488 0.943 0.129
H 0.336 -0.098 -1.490
H 3.694 1.830 -0.106
H 1.393 1.646 0.489
H -2.194 -0.204 -1.733

*Q*
22
Properties=species:S:1:pos:R:3 method="wB97M-V/def2-TZVPD" e_homo_ev=-2.7 charge=-1
O 0.595 1.532 -2.583
N -0.391 0.977 -0.373
C -0.485 1.227 -1.963
C 0.291 -0.248 -0.052
C 0.327 -0.723 2.505
C 1.818 -0.337 -0.094
C -0.287 -1.082 1.117
C -1.820 -1.117 1.152
H -0.968 0.248 -2.253
H 2.148 -0.027 -1.087
H -0.065 -2.130 0.911
H 2.177 -1.328 0.151
H -0.363 -1.090 3.270
H 0.029 -0.930 -0.895
H -2.246 -1.303 2.139
H -1.319 1.989 -1.904
H 0.448 0.337 2.740
H -2.161 -1.852 0.432
H -2.241 -0.170 0.783
H 2.261 0.379 0.629
H 1.341 -1.106 2.532
H 0.001 1.707 0.208

*R*
22
Properties=species:S:1:pos:R:3 method="wB97M-V/def2-TZVPD" e_homo_ev=-2.4 charge=-1
O 0.647 -0.840 2.860
N 0.216 0.847 -2.081
C 1.728 0.994 0.820
C -0.380 -1.642 2.490
C -2.164 1.124 -1.558
C -0.993 0.408 -2.184
C 1.751 -0.016 -0.320
C 0.346 -0.231 -0.925
H -1.746 1.716 -0.741
H -2.697 1.772 -2.243
H -1.205 -0.455 -2.856
H 0.285 -1.240 -1.312
H -0.116 -2.562 1.877
H -0.974 -2.045 3.336
H -1.127 -1.136 1.813
H 2.734 1.285 1.127
H 2.432 0.327 -1.106
H 1.171 1.895 0.534
H 1.161 0.502 1.666
H -0.324 -0.128 -0.065
H 2.127 -0.995 -0.017
H -2.873 0.419 -1.116

*S*
22
Properties=species:S:1:pos:R:3 method="wB97M-V/def2-TZVPD" e_homo_ev=-2.3 charge=-1
O -1.755 1.766 0.958
N 0.619 -1.680 -1.054
C 0.897 1.111 -0.144
C -0.708 1.710 1.759
C -0.019 -2.606 -0.247
C -0.019 0.840 -1.343
C 0.324 0.644 1.187
C -0.422 -0.674 -1.437
H 0.589 1.097 -2.244
H 1.005 2.188 -0.126
H -1.325 -0.737 -0.697
H 1.442 -1.216 -0.798
H -0.898 -0.741 -2.476
H 0.030 2.662 1.899
H 0.645 -3.459 0.181
H 2.005 0.875 -0.052
H 1.032 0.580 1.972
H -1.102 1.635 2.714
H -0.960 -2.881 -0.627
H -0.165 -0.308 1.051
H -1.014 1.372 -1.245
H -0.199 -2.177 0.770

Least stable of them? *R*.

*P*
22
Properties=species:S:1:pos:R:3 method="wB97M-V/def2-TZVPD" e_homo_ev=-2.0 charge=-1
O 0.188 0.058 -2.744
N -1.212 0.628 0.480
C -1.919 1.801 -0.216
C 0.309 0.711 -1.673
C 1.677 -0.163 1.100
C -0.413 -0.215 -0.513
C 0.704 -0.960 0.167
C 0.240 -2.193 0.985
H 1.233 -1.295 -0.731
H -2.882 1.846 0.051
H -1.496 2.814 -0.070
H 1.404 1.024 -1.317
H -1.152 -0.694 -1.101
H -0.565 1.112 1.065
H 1.099 0.106 1.946
H 1.791 0.807 0.641
H 2.644 -0.761 1.252
H -0.037 -3.165 0.385
H -0.625 -1.987 1.695
H 1.045 -2.582 1.578
H -0.299 1.527 -1.638
H -1.733 1.579 -1.342

*Q*
22
Properties=species:S:1:pos:R:3 method="wB97M-V/def2-TZVPD" e_homo_ev=-2.6 charge=-1
O -1.092 0.568 -0.782
N 3.383 0.565 0.347
C 1.413 1.862 0.110
C -1.803 0.572 0.442
C 2.104 0.762 -0.182
C 1.641 -0.386 -1.045
C -2.040 -0.845 0.926
C -2.560 -1.726 -0.169
H 1.940 2.636 0.724
H 2.271 -0.440 -1.947
H -1.861 -1.539 -0.983
H -2.643 -2.834 0.059
H 3.783 1.479 0.676
H -2.784 1.087 0.297
H -2.658 -0.909 1.811
H 0.580 -0.191 -1.249
H -1.223 1.101 1.221
H 1.819 -1.286 -0.410
H -3.522 -1.353 -0.491
H 3.986 0.162 -0.394
H 0.318 1.951 -0.142
H -1.053 -1.236 1.182

Least stable of them? *P*.

*P*
37
Properties=species:S:1:pos:R:3 method="wB97M-V/def2-TZVPD" e_homo_ev=-9.5 charge=0
O 3.766 0.657 0.629
O -1.701 -2.248 -2.189
O 1.691 1.516 2.664
O -0.751 4.366 -1.099
N -1.272 -0.940 0.459
C 0.621 -2.517 0.544
C -1.070 0.509 0.356
C 0.208 0.895 -0.396
C -0.334 -1.648 1.358
C -1.103 -2.502 2.353
C 0.226 0.461 -1.862
C -0.936 0.991 -2.692
H -1.085 2.059 -2.522
H 1.205 -3.173 1.193
H 2.503 1.353 2.166
H -2.211 -1.118 0.794
H -2.099 -3.054 -1.842
H -1.046 0.991 1.344
H 1.303 -1.922 -0.066
H -0.402 -2.996 3.029
H -1.820 -1.930 2.941